I asked once before, more info this time. I am venting about bio family?


New member
Oct 2, 2011
I have 2 adopted children one almost 9 daughter and the other 7 son. Then do not know that I am doing this at all but about a year ago I started looking for there Bio family will the ones that are not in jail or on drugs. I found a few but mostly far off aunt, cousin stuff along those lines. I also found a 20 year old sister from there bio fathers side . She knew the children for about a year and a half before the children were removed because of serious abuse. I started sending some pictures of the children to the agency so I could slowly open the door that way my children can go throw it if and when they chose. (By the way the few time I have brought up there bio anything my daughter wants nothing to do with it. And my son does not seem to care they are ok with saying I am adopted but they will not go any deeper then that.) Any way I go a message on facebook, the sister had found me and told my she does not want any info from the agency and she would rather wait 10ish years to see them. What I do not understand is why would you want to go years with out knowing how they are doing. On top of that I know my daughter could change her mind but she really want nothing at all to do with anything from her past I will never push her but, with allllllll the horror stories I am told about who am I where is my bio family and so on I want to do whatever I can never to cause that to happen. But I want my children to be safe and not toooo confused. I want peoples points of view so I can make more sense of this.
I would leave well enough alone. Your children seem happy and well-adjusted, I (nor anyone else) can tell you what to do as we are not you. Only what I would do if it were me. Do some soul searching and search out whether this is more your issue than your childrens'.
Why do I say this??? Well, the sister has clearly stated that she is not very interested in pursuing information or contact. Obviously there are problems with several of the family members. Why search them out at this point in time??? My fear would more be, that where the kids seem ok with out any contact or more information, they will sense that this seems important to YOU and that they will start to think there is something wrong with THEM for not wanting to know more about the bio family members.
## Between two parts of the article: data records
# 1
A plane-wave DFT calculation with PBE was carried out for a geometry-optimized Pr3TmHg6 structure.

Cell lengths 5.2283, 9.4584, 11.3779 Å; angles 107.19, 90.00, 90.00 degrees
With the nearest neighbours (Å) after each atom.
Atoms (fractional coordinates):
Tm1 0.2500 0.9430 0.5949  8 Hg 3.04-3.28
Tm2 0.7500 0.0570 0.4051  8 Hg 3.04-3.28
Hg1 0.7500 0.9437 0.1253  1 Tm 3.04, 3 Hg 3.20-3.29, 4 Pr 3.21-3.30
Hg2 0.2500 0.0563 0.8747  1 Tm 3.04, 3 Hg 3.20-3.29, 4 Pr 3.21-3.30
Hg3 0.7500 0.8520 0.8233  8 Hg 3.20-3.50, 4 Pr 3.43-3.55
Hg4 0.7500 0.7699 0.5107  3 Tm 3.08-3.28, 2 Pr 3.18-3.22, 1 Hg 3.41
Hg5 0.7500 0.3245 0.3044  1 Tm 3.07, 4 Pr 3.14-3.42, 2 Hg 3.21
Hg6 0.7500 0.1387 0.6928  3 Tm 3.13-3.21, 3 Pr 3.27-3.45, 2 Hg 3.46-3.49
Hg7 0.2500 0.4676 0.0822  7 Pr 3.25-3.42, 3 Hg 3.37-3.50
Hg8 0.2500 0.2301 0.4893  3 Tm 3.08-3.28, 2 Pr 3.18-3.22, 1 Hg 3.41
Hg9 0.2500 0.1480 0.1767  8 Hg 3.20-3.50, 4 Pr 3.43-3.55
Hg10 0.2500 0.8613 0.3072  3 Tm 3.13-3.21, 3 Pr 3.27-3.45, 2 Hg 3.46-3.49
Hg11 0.2500 0.6755 0.6956  1 Tm 3.07, 4 Pr 3.14-3.42, 2 Hg 3.21
Hg12 0.7500 0.5324 0.9178  7 Pr 3.25-3.42, 3 Hg 3.37-3.50
Pr1 0.7500 0.4885 0.6159  5 Hg 3.14-3.42
Pr2 0.2500 0.5115 0.3841  5 Hg 3.14-3.42
Pr3 0.7500 0.6485 0.2182  8 Hg 3.18-3.48
Pr4 0.7500 0.2247 0.0097  11 Hg 3.20-3.54
Pr5 0.2500 0.7753 0.9903  11 Hg 3.20-3.54
Pr6 0.2500 0.3515 0.7818  8 Hg 3.18-3.48

## Properties
D(E_F) = 0.86 states/eV/atom
V = 26.9 Å³ per atom
E = -2.486 eV per atom

=====

# 2
A plane-wave DFT calculation with PBE was carried out for a geometry-optimized Pr2TmHg structure.

Cell lengths 3.5608, 3.5608, 12.5035 Å; angles 81.81, 81.81, 60.00 degrees
With the nearest neighbours (Å) after each atom.
Atoms (fractional coordinates):
Tm1 0.5000 0.5000 0.5000  6 Pr 3.53, 6 Tm 3.56
Pr1 0.0892 0.0892 0.7324  1 Hg 3.30, 3 Tm 3.53, 6 Pr 3.56
Pr2 0.9108 0.9108 0.2676  1 Hg 3.30, 3 Tm 3.53, 6 Pr 3.56
Hg1 0.0000 0.0000 0.0000  2 Pr 3.30, 6 Hg 3.56

## Properties
D(E_F) = 1.12 states/eV/atom
V = 33.9 Å³ per atom
E = -3.501 eV per atom

=====

# 3
A plane-wave DFT calculation with PBE was carried out for a geometry-optimized PrTmHg4 structure.

Cell lengths 4.5340, 4.5493, 8.6653 Å; angles 89.99, 90.00, 90.00 degrees
With the nearest neighbours (Å) after each atom.
Atoms (fractional coordinates):
Hg1 0.0013 0.4974 0.2631  2 Tm 3.05, 4 Hg 3.21, 2 Pr 3.23
Hg2 0.5013 0.9973 0.7342  2 Tm 3.05, 4 Hg 3.21, 2 Pr 3.23
Hg3 0.0013 0.4973 0.7332  2 Tm 3.05, 4 Hg 3.21, 2 Pr 3.23
Hg4 0.5013 0.9972 0.2621  2 Tm 3.05, 4 Hg 3.21, 2 Pr 3.23
Tm1 0.0013 0.9973 0.4981  8 Hg 3.05
Pr1 0.5013 0.4972 0.9981  8 Hg 3.23

## Properties
D(E_F) = 0.56 states/eV/atom
V = 29.8 Å³ per atom
E = -1.918 eV per atom

=====

# 4
A plane-wave DFT calculation with PBE was carried out for a geometry-optimized PrTmHg2 structure.

Cell lengths 5.3437, 5.3437, 5.3437 Å; angles 60.00, 60.00, 60.00 degrees
With the nearest neighbours (Å) after each atom.
Atoms (fractional coordinates):
Pr1 0.5000 0.5000 0.5000  8 Hg 3.27
Every adopted child is different. The issues will be as individual as the child. Personally I would not look for trouble.
Dont listen to adoption horror stories. It is like, how come you never hear about the surgeries that went fine with full recovery, the woman who had a fast labor, and a healthy delivery with no problems, and the kids adopted who have adjusted well and are not obsessed with their birth families?? Because the world seems to dwell on negativity , tragedy and bad news. Just look what is on tv, not to mention the newspapers. Drama and more drama.
Rejoice, give thanks and be happy that the children are ok and happy being your kids.
And later, if issues arise, find a good ADOPTION issue counselor. Not every counselor is familiar with adoption issues. Ask if the need arises.
Some good questions: How many adopted people have you counseled?
What do you think some of the biggest issues are for adopted kids? I bet you could think of more on your own to see if you like the counselor and if you think your kids could relate to them. Remember, you are their parent., doesnt matter how you became that.. You still are and know these kids better than any one else does.
Also try to remember kids are kids. Adopted kids and birth kids alike, have kid issues. They will have temper tantrums, ,may struggle in school, may sass you, may swear, may hug you , may say They love you, in other words they are kids. Not everything that happens with them will be "because they are adopted".
And why waste time and emotion wondering and trying to understand why the bio family would go years with out wondering how they are doing??????? Whats the point of that??? Obviously these ppl had big problems and are not like you or I. We do tend to project our own feelings onto others. I am still surprised when ppl do something I would not. I should know by now. Not everyone thinks or is capable of, thinking like you do.
I would just take one day at a time, enjoy these children God has put into your care, be sensitive to if adoption issues arise , dont worry about it, just find that counselor if the need comes up. Knowing you have a plan may ease your mind. A good idea might be to look into if there are any groups of adoptive families around your area so the kids see there are many other adopted children out there. But that is up to you.
Good luck to you and may God bless you and your family. These children will grow up faster than you realize and then will need a Grandma and/or Grandpa for their own kids... they will know who was there for them and who cares....and loves.. and you know the answer to that. YOU and your ppl are their family now , so dont worry so much. Take care.